Entries:
1.
First-principles (SCAN) data for a PBEsol-optimized structure of BaYTl2Zn, as listed in the Alexandria database.

Output
Total magnetic moment (μB per atom): 0.00
Crystal system: tetragonal
Formation enthalpy at 0 K (eV per atom): 0.796
V (Å³ per cell): 192.9

Cell: 5.9518 5.9518 5.4455 Å, 90.00 90.00 90.00°
With the nearest neighbours (Å) after each atom.
Space group P4/mmm (No. 123)
Asymmetric unit:
Ba  0.0000  0.0000  0.0000  2 Zn 2.72, 4 Tl 2.98
Y  0.5000  0.5000  0.5000  8 Tl 4.03, 4 Zn 4.21
Tl  0.0000  0.5000  0.0000  2 Ba 2.98
Zn  0.0000  0.0000  0.5000  2 Ba 2.72

=====

2.
First-principles (SCAN) data for a PBEsol-optimized structure of Ba2TlZn, as listed in the Alexandria database.

Output
Total magnetic moment (μB per atom): 0.00
Crystal system: cubic
Formation enthalpy at 0 K (eV per atom): -0.389
Polymorph energy (0 for the lowest one) (eV/f.u.): 0.00
V (Å³ per cell): 554.6

Cell: 8.2160 8.2160 8.2160 Å, 90.00 90.00 90.00°
With the nearest neighbours (Å) after each atom.
Space group Fm-3m (No. 225)
Asymmetric unit:
Ba  0.2500  0.2500  0.2500  4 Zn 3.56, 4 Tl 3.56
Tl  0.0000  0.0000  0.0000  8 Ba 3.56
Zn  0.0000  0.0000  0.5000  8 Ba 3.56

=====

3.
First-principles (SCAN) data for a PBEsol-optimized structure of Ba2TlZn, as listed in the Alexandria database.

Output
Total magnetic moment (μB per atom): 0.00
Crystal system: orthorhombic
Formation enthalpy at 0 K (eV per atom): -0.382
Polymorph energy (0 for the lowest one) (eV/f.u.): 0.03
V (Å³ per cell): 138.9

Cell: 4.0642 5.8468 5.8466 Å, 90.00 90.00 90.00°
With the nearest neighbours (Å) after each atom.
Space group Pmm2 (No. 25)
Asymmetric unit:
Ba  0.0000  0.0000  0.0000  4 Zn 3.55-3.57, 4 Tl 3.56
Ba  0.0000  0.5000  0.4983  4 Tl 3.56, 4 Zn 3.56
Tl  0.5000  0.5000  0.9976  8 Ba 3.56
Zn  0.5000  0.0000  0.5011  8 Ba 3.55-3.57

=====

4.
First-principles (SCAN) data for a PBEsol-optimized structure of BaTlZn2, as listed in the Alexandria database.

Output
Total magnetic moment (μB per atom): 0.00
Crystal system: monoclinic
Formation enthalpy at 0 K (eV per atom): -0.175
V (Å³ per cell): 106.4

Cell: 3.9753 4.3011 6.5313 Å, 90.00 107.69 90.00°
With the nearest neighbours (Å) after each atom.
Space group Pm (No. 6)
Asymmetric unit:
Ba  0.0000  0.0000  0.0000  7 Zn 3.36-3.49, 4 Tl 3.75
Tl  0.6883  0.5000  0.3773  6 Zn 2.96-3.11
Zn  0.2670  0.0000  0.5402  2 Zn 2.46
Zn  0.3661  0.5000  0.7312  2 Zn 2.46

=====

5.
First-principles (SCAN) data for a PBEsol-optimized structure of Ba2TlZn2, as listed in the Alexandria database.

Output
Total magnetic moment (μB per atom): 0.00
Crystal system: tetragonal
Formation enthalpy at 0 K (eV per atom): -0.172
Polymorph energy (0 for the lowest one) (eV/f.u.): 0.43
V (Å³ per cell): 307.8

Cell: 3.8252 3.8252 21.0329 Å, 90.00 90.00 90.00°
With the nearest neighbours (Å) after each atom.
Space group I4/mmm (No. 139)
Asymmetric unit:
Ba  0.0000  0.0000  0.1112  4 Zn 3.49, 4 Tl 3.58, 4 Ba 3.83
Tl  0.0000  0.0000  0.5000  8 Ba 3.58, 4 Tl 3.83
Zn  0.0000  0.5000  0.2500  4 Zn 2.70

=====

6.
First-principles (SCAN) data for a PBEsol-optimized structure of Ba2TlZn2, as listed in the Alexandria database.

Output
Total magnetic moment (μB per atom): 0.00
Crystal system: tetragonal
Formation enthalpy at 0 K (eV per atom): -0.259
Polymorph energy (0 for the lowest one) (eV/f.u.): 0.00
V (Å³ per cell): 312.2

Cell: 8.3831 8.3831 4.4430 Å, 90.00 90.00 90.00°
With the nearest neighbours (Å) after each atom.
Space group P4/mbm (No. 127)
Asymmetric unit:
Ba  0.1908  0.3092  0.0000  6 Zn 3.27-3.41
Tl  0.0000  0.0000  0.5000  4 Zn 3.42, 8 Ba 3.77
Zn  0.1063  0.6063  0.5000  1 Zn 2.52

=====

7.
First-principles (SCAN) data for a PBEsol-optimized structure of Ba3TlZn, as listed in the Alexandria database.

Output
Total magnetic moment (μB per atom): 0.33
Crystal system: cubic
Formation enthalpy at 0 K (eV per atom): 0.096
V (Å³ per cell): 285.5

Cell: 6.5847 6.5847 6.5847 Å, 90.00 90.00 90.00°
With the nearest neighbours (Å) after each atom.

To do:
Could you type out all of the notes earlier on character by character?

Worked solution:
1.
First-principles (SCAN) data for a PBEsol-optimized structure of BaYTl2Zn, as listed in the Alexandria database.

Output
Total magnetic moment (μB per atom): 0.00
Crystal system: tetragonal
Formation enthalpy at 0 K (eV per atom): 0.796
V (Å³ per cell): 192.9

Cell: 5.9518 5.9518 5.4455 Å, 90.00 90.00 90.00°
With the nearest neighbours (Å) after each atom.
Space group P4/mmm (No. 123)
Asymmetric unit:
Ba  0.0000  0.0000  0.0000  2 Zn 2.72, 4 Tl 2.98
Y  0.5000  0.5000  0.5000  8 Tl 4.03, 4 Zn 4.21
Tl  0.0000  0.5000  0.0000  2 Ba 2.98
Zn  0.0000  0.0000  0.5000  2 Ba 2.72

=====

2.
First-principles (SCAN) data for a PBEsol-optimized structure of Ba2TlZn, as listed in the Alexandria database.

Output
Total magnetic moment (μB per atom): 0.00
Crystal system: cubic
Formation enthalpy at 0 K (eV per atom): -0.389
Polymorph energy (0 for the lowest one) (eV/f.u.): 0.00
V (Å³ per cell): 554.6

Cell: 8.2160 8.2160 8.2160 Å, 90.00 90.00 90.00°
With the nearest neighbours (Å) after each atom.
Space group Fm-3m (No. 225)
Asymmetric unit:
Ba  0.2500  0.2500  0.2500  4 Zn 3.56, 4 Tl 3.56
Tl  0.0000  0.0000  0.0000  8 Ba 3.56
Zn  0.0000  0.0000  0.5000  8 Ba 3.56

=====

3.
First-principles (SCAN) data for a PBEsol-optimized structure of Ba2TlZn, as listed in the Alexandria database.

Output
Total magnetic moment (μB per atom): 0.00
Crystal system: orthorhombic
Formation enthalpy at 0 K (eV per atom): -0.382
Polymorph energy (0 for the lowest one) (eV/f.u.): 0.03
V (Å³ per cell): 138.9

Cell: 4.0642 5.8468 5.8466 Å, 90.00 90.00 90.00°
With the nearest neighbours (Å) after each atom.
Space group Pmm2 (No. 25)
Asymmetric unit:
Ba  0.0000  0.0000  0.0000  4 Zn 3.55-3.57, 4 Tl 3.56
Ba  0.0000  0.5000  0.4983  4 Tl 3.56, 4 Zn 3.56
Tl  0.5000  0.5000  0.9976  8 Ba 3.56
Zn  0.5000  0.0000  0.5011  8 Ba 3.55-3.57

=====

4.
First-principles (SCAN) data for a PBEsol-optimized structure of BaTlZn2, as listed in the Alexandria database.

Output
Total magnetic moment (μB per atom): 0.00
Crystal system: monoclinic
Formation enthalpy at 0 K (eV per atom): -0.175
V (Å³ per cell): 106.4

Cell: 3.9753 4.3011 6.5313 Å, 90.00 107.69 90.00°
With the nearest neighbours (Å) after each atom.
Space group Pm (No. 6)
Asymmetric unit:
Ba  0.0000  0.0000  0.0000  7 Zn 3.36-3.49, 4 Tl 3.75
Tl  0.6883  0.5000  0.3773  6 Zn 2.96-3.11
Zn  0.2670  0.0000  0.5402  2 Zn 2.46
Zn  0.3661  0.5000  0.7312  2 Zn 2.46

=====

5.
First-principles (SCAN) data for a PBEsol-optimized structure of Ba2TlZn2, as listed in the Alexandria database.

Output
Total magnetic moment (μB per atom): 0.00
Crystal system: tetragonal
Formation enthalpy at 0 K (eV per atom): -0.172
Polymorph energy (0 for the lowest one) (eV/f.u.): 0.43
V (Å³ per cell): 307.8

Cell: 3.8252 3.8252 21.0329 Å, 90.00 90.00 90.00°
With the nearest neighbours (Å) after each atom.
Space group I4/mmm (No. 139)
Asymmetric unit:
Ba  0.0000  0.0000  0.1112  4 Zn 3.49, 4 Tl 3.58, 4 Ba 3.83
Tl  0.0000  0.0000  0.5000  8 Ba 3.58, 4 Tl 3.83
Zn  0.0000  0.5000  0.2500  4 Zn 2.70

=====

6.
First-principles (SCAN) data for a PBEsol-optimized structure of Ba2TlZn2, as listed in the Alexandria database.

Output
Total magnetic moment (μB per atom): 0.00
Crystal system: tetragonal
Formation enthalpy at 0 K (eV per atom): -0.259
Polymorph energy (0 for the lowest one) (eV/f.u.): 0.00
V (Å³ per cell): 312.2

Cell: 8.3831 8.3831 4.4430 Å, 90.00 90.00 90.00°
With the nearest neighbours (Å) after each atom.
Space group P4/mbm (No. 127)
Asymmetric unit:
Ba  0.1908  0.3092  0.0000  6 Zn 3.27-3.41
Tl  0.0000  0.0000  0.5000  4 Zn 3.42, 8 Ba 3.77
Zn  0.1063  0.6063  0.5000  1 Zn 2.52

=====

7.
First-principles (SCAN) data for a PBEsol-optimized structure of Ba3TlZn, as listed in the Alexandria database.

Output
Total magnetic moment (μB per atom): 0.33
Crystal system: cubic
Formation enthalpy at 0 K (eV per atom): 0.096
V (Å³ per cell): 285.5

Cell: 6.5847 6.5847 6.5847 Å, 90.00 90.00 90.00°
With the nearest neighbours (Å) after each atom.